What went wrong?
Enlighten me as to why 78 is a bad score
8/10 is bad?
Not a lot, it seems. 78 for the game in it's current state is bretty good, considering it's going to get a bunch of free dlc down the line.
not much
Nintendo should've made another Punch Out I stead of this.
>Actually defending a piece of turd.
As expected from babies.
ebin ill save it with the rest of my le feels guy folder pics!
>bad reviews are critics being angry because of mini-games not being like the real thing
Are they retarded?
It's a shit game that already dropped off most peoples radars when the low reviews hit. I played a little bit of it at my friend's house and I'm really sure why it's being sold at full retail price. It's basically a glorified e-shop title.
That seems realistic.
The minigames look like garbage. Why are you defending them?
Correction: ...I'm not really sure...
78% is really good considering it doesn't feel like there's anywhere near 78% of a game there.
fuck off Sony_nigger
>this was a 60$ game
Why would you buy it either way?
watching nintendofags decide between
>horizon btfo
>scores dont matter
feels good
It's a shit game that has nothing going for it except bland waifu pandering.
Not much since the biggest critism is lack of story mode in a game that's focused on multiplayer...
Not defending it. Not gonna buy it. Just saying that 8/10 ain't bad.
78 isn't bad, but what I'm willingly to bet is the main complaint is that it gets repetitive after a while.
Arms (like most fighter/"party" games) gets really repetitive, especially when you play in long sessions. You could even tell this in the testpunch.
For an ambitious game like ARMS to get a 78 is a goddamn miracle.
Quit being mad that no one took your shitty bait.
Wow, so desperate.
Bad mini games aren't a reason to lower a score.
Is Yakuza a worse game because some of the arcade games are shit? No
So this is the response of a broken and battered fanboy. It's quite strange when you look at them this close up. But yeah, it's basically a 15 dollar Steam title. It's unfortunate that you pretty much have no choice but to excited for this garbage,
>What went wrong with an unreleased game
You guys are fucking retarded.
never seen any nintendofag say scores don't matter when talking about arms though
Scores never mattered.
Zelda is an excellent game. Horizon is a great game, ARMS is a good game. Everyone wins. Stop the console wars bullshit
t. shill with buyer's remorse
But it got alot of good score.
Probably deserved a solid 80 but that one 5/10 review from a butthurt guy about 2v2 matches dragged it down to 7.8 never ending shitpost territory. Shame.
because horizon got a bad score by nintendo standards
Ninty didn't realize that fighting games are shit for normies without content. Splatoon was bare bones at launch but it had a nice single player campaign and it also plays like a standard shooting game, which is far more asier and fun to get in to. Fighting games with zero content are just a hard sell nowadays. Doesn't help that it looks repetitive as fuck.
>Starting a thread with "What went wrong"
Kill yourself millennial
I wish chink moot would filter the word shill so retards like you can't just use it to try and win an argument.
>I wish chink moot would filter the word shill so retards like you can't just use it to try and win an argument.
>uses millenial wrong
These terms don't make sense. Old people can have millenial mentalities and vice versa.
Not even similar games.
your thread
Scores dont matter, but is factually, that Horizon is a good game but with flaws, BotW is an even better game with less flaws
+++
1.
A plane-wave DFT calculation with PBE+U was carried out for a relaxed Mn3Cr2O8 crystal.

a b c (Å): 6.1290 6.1290 5.8933
angles (deg): 90.00 58.67 120.00
With the nearest neighbours (Å) after each atom.
Positions (direct):
Cr 0.5075 0.7537 0.7388  4 O 1.80-1.83
O 0.2274 0.1137 0.1393  1 Cr 1.80
O 0.2518 0.1259 0.6223  1 Cr 1.83
O 0.7470 0.6333 0.1393  1 Cr 1.80
O 0.7530 0.6363 0.6107  1 Cr 1.80
O 0.7470 0.1137 0.1393  1 Cr 1.80
Cr 0.9925 0.9963 0.0112  4 O 1.80-1.83
O 0.2482 0.6241 0.1277  1 Cr 1.83
O 0.7530 0.1167 0.6107  1 Cr 1.80
Mn 0.2500 0.8750 0.3750  6 O 2.12
O 0.2726 0.6363 0.6107  1 Cr 1.80
Mn 0.2500 0.3750 0.3750  6 O 2.12
Mn 0.7500 0.3750 0.3750  6 O 2.12

Calculated values
- Size of the total moment: 1.308 μB per atom
- Formation energy from the elements: -1.9024 eV per atom
- SG: R-3m, No. 166



2.
A plane-wave DFT calculation with PBE+U was carried out for a relaxed Mn13Cr3O32 crystal.

a b c (Å): 8.2774 8.2774 10.1230
angles (deg): 65.90 65.90 89.95
With the nearest neighbours (Å) after each atom.
Positions (direct):
O 0.8525 0.8525 0.2648  3 Mn 1.95
Mn 0.8751 0.6248 0.7500  6 O 1.95
O 0.4928 0.7736 0.9845  2 Mn 1.95, 1 Cr 1.95
O 0.6478 0.6478 0.7351  3 Mn 1.95
O 0.7420 0.5223 0.4851  3 Mn 1.95
O 0.5223 0.7420 0.4851  3 Mn 1.95
O 0.4777 0.2580 0.5149  3 Mn 1.95
O 0.9929 0.2736 0.9844  2 Mn 1.95, 1 Cr 1.96
O 0.0242 0.2432 0.4845  2 Mn 1.95, 1 Cr 1.96
O 0.8835 0.3833 0.7649  2 Mn 1.95, 1 Cr 1.95
Mn 0.2506 0.2506 0.5001  6 O 1.95
O 0.1329 0.1329 0.2656  1 Cr 1.95, 2 Mn 1.95
Cr 0.2501 0.7499 0.0000  6 O 1.95-1.96
O 0.7264 0.0071 0.0156  2 Mn 1.95, 1 Cr 1.96
Mn 0.0000 0.5000 0.0000  6 O 1.95
Mn 0.3752 0.1249 0.2500  6 O 1.95
O 0.0071 0.7264 0.0156  2 Mn 1.95, 1 Cr 1.96
Mn 0.6248 0.8751 0.7500  6 O 1.95
O 0.3980 0.8978 0.2350  3 Mn 1.95
Mn 0.6254 0.8745 0.2502  6 O 1.95
O 0.2736 0.9929 0.9844  2 Mn 1.95, 1 Cr 1.96
O 0.7736 0.4928 0.9845  2 Mn 1.95, 1 Cr 1.95
O 0.8978 0.3980 0.2350  3 Mn 1.95
O 0.6325 0.6325 0.2649  3 Mn 1.95
O 0.2580 0.4777 0.5149  3 Mn 1.95
O 0.8671 0.8671 0.7344  1 Cr 1.95, 2 Mn 1.95
Mn 0.3746 0.1255 0.7498  6 O 1.95
O 0.2432 0.0242 0.4845  2 Mn 1.95, 1 Cr 1.96
Mn 0.1249 0.3752 0.2500  6 O 1.95
O 0.7568 0.9758 0.5155  2 Mn 1.95, 1 Cr 1.96
O 0.2264 0.5072 0.0155  2 Mn 1.95, 1 Cr 1.95
Cr 0.7499 0.2501 0.0000  6 O 1.95-1.96
Mn 0.7494 0.7494 0.4999  6 O 1.95
Cr 0.0000 0.0000 0.5000  6 O 1.95-1.96
O 0.3675 0.3675 0.7351  3 Mn 1.95
O 0.3522 0.3522 0.2649  3 Mn 1.95
O 0.1165 0.6167 0.2351  2 Mn 1.95, 1 Cr 1.95
O 0.1022 0.6020 0.7650  3 Mn 1.95
O 0.3833 0.8835 0.7649  2 Mn 1.95, 1 Cr 1.95
Mn 0.5000 0.5000 0.5000  6 O 1.95
O 0.9758 0.7568 0.5155  2 Mn 1.95, 1 Cr 1.96
O 0.6020 0.1022 0.7650  3 Mn 1.95
Mn 0.5000 0.0000 0.0000  6 O 1.95
O 0.5072 0.2264 0.0155  2 Mn 1.95, 1 Cr 1.95
Mn 0.1255 0.3746 0.7498  6 O 1.95
O 0.6167 0.1165 0.2351  2 Mn 1.95, 1 Cr 1.95
O 0.1475 0.1475 0.7352  3 Mn 1.95
Mn 0.8745 0.6254 0.2502  6 O 1.95

Calculated values
- Size of the total moment: 0.937 μB per atom
+++
You guys doing the exact same thing with Splatoon's 79 two years ago.
>What went wrong?
The Switch.
>$79 for Dragon Quest